_Wanted_
Next, find the line underneath that holds "0.219 0.693", then write out that line and all lines after it there.
_Source_
-- begin --
Entry from Alexandria: a relaxed RbCeCr2O8 crystal (GGA+U).

a = 5.658 Å, b = 5.658 Å, c = 8.455 Å
α = 87.85°, β = 87.85°, γ = 62.81°
Sites, in units of the cell vectors:
Rb: 0.000 0.000 0.500
O: 0.311 0.311 0.594
O: 0.219 0.693 0.810
O: 0.307 0.781 0.190
O: 0.693 0.219 0.810
O: 0.781 0.307 0.190
O: 0.219 0.219 0.902
O: 0.689 0.689 0.406
O: 0.781 0.781 0.098
Cr: 0.640 0.640 0.225
Cr: 0.360 0.360 0.775
Ce: 0.000 0.000 0.000

Values from the calculation:
Its electronic total energy is -7.02 eV per atom. The value obtained for the total magnetization is 1.04 μB/f.u. The density of states at the Fermi level is 5.67 states/eV/f.u.
-- stop --
_Here it is_
O: 0.219 0.693 0.810
O: 0.307 0.781 0.190
O: 0.693 0.219 0.810
O: 0.781 0.307 0.190
O: 0.219 0.219 0.902
O: 0.689 0.689 0.406
O: 0.781 0.781 0.098
Cr: 0.640 0.640 0.225
Cr: 0.360 0.360 0.775
Ce: 0.000 0.000 0.000

Values from the calculation:
Its electronic total energy is -7.02 eV per atom. The value obtained for the total magnetization is 1.04 μB/f.u. The density of states at the Fermi level is 5.67 states/eV/f.u.